Chapter 6

Kater's POV

(Attached: data records)
=====
W2AuO | PBE+U | optimized geometry

Lattice parameters (Å, degrees): 6.458 6.458 6.189 90.00 90.00 90.00
Fractional positions:
W 0.161 0.250 0.125
W 0.250 0.661 0.375
W 0.250 0.839 0.875
W 0.339 0.250 0.625
W 0.661 0.750 0.625
W 0.750 0.161 0.875
W 0.750 0.339 0.375
W 0.839 0.750 0.125
Au 0.000 0.000 0.500
Au 0.000 0.500 0.750
Au 0.500 0.000 0.250
Au 0.500 0.500 0.000
O 0.000 0.000 0.000
O 0.000 0.500 0.250
O 0.500 0.000 0.750
=====
(Back to the entry)

I remember when I left him, I felt as if I was crazy. I would randomly burst into tears and couldn't stop myself from screaming when I was alone. Everyday my heart burns in my chest knowing I will never see him again but when I had the opportunity, I found out he already continued with his life, he forgot about me. For me this pain I feel is the one that drowns you completely, the kind of pain you not only feel in your heart but in your mind and soul.

A few minutes ago he was just near me, a breathe away and I couldn't bring myself to say I still love him because he loves someone else and it was definetly not me. I still remember how his eyes trained on me and how much strength it took in me not kiss him there.

Now, here I am, running away from my past love. I let the soft egine of my motobike come to a stop as I removed the helmet from my head. The sky is so beautiful, twinkling stars, the bright full moon and the dark sky just perfect, they fit in each other perfectly but what about me, what went wrong?

I got off from my bike, the men guarding Roman's house opening for me the doors and I enter casually feeling as if all my strength has been thrown away. I see a maid run to my way and then bowed her head a little showing me some respect. I wonder why Roman came here, he even has a mansion in London and he never told me. Am gonner kill him for that.

"Get me some water. Teper! (Now!)" I growled lowly feeling as if a headache is coming and turned to one of the men, who lowered their eyes the moment mine landed on him. "Where is Roman?"

He looked upstairs and then me making me to get irritated. I don't have time for this shit. First, my plan goes completely haywires then his acting mute. "I will empty my gun in your damn mouth if you don't want to use it." I watch him gulp slowly as I got close to him, its as if he has been recruited here for a short while. "His in his office, miss."

He trembled a little as I watched making me to smirk. This is halarious, a grown man, who is like 5 feet taller and more stronger than me is afraid of me. I don't think am that scary. I walked past him noting I will surely come to enjoy him later. I made my way to Roman's office not bothering to knock and I find a blonde lying on the couch, her legs hanging up busying her self in her phone.

"Get out, teper! (Now!)" I barked at her making her to flinch a little as she sat up and looked at me, "izvinite? (Excuse me!)" Am not even surprised Roman brought a girl from Russia. I see Michael from the corner of my eyes coming inside and I turned around taking his gun from him. Now she will now who she is dealing with.

I shot directly above her head hitting the wall and she screamed cupping her ears as her phone dropped. "I don't like repeating myself." She looked at me as if am crazy before she stood up running out of this place.

"You must enter here with some rackess, don't you?" Roman smirked as he lit up a cigar and I turn to an amused Michael as he checked the way the blonde run off to. I gave him his gun before I plopped myself on the couch making myself comfortable.

"Always!" I finally answer as I saw the maid ready to knock on the open door and I wave her in giving me my water before she run off making me to chuckle. "Be thankful it wasn't her head even though I know, you careless" I mocked sipping my water. It extra sparkly and refreshing.

"How did you know I was here?" He asked cocking his head a little and I smirked plopping my feet on the coffee table, "I always keep tabs." He waved off Michael after whispering to him something and turned to me offering some whiskey which I decline, "and from your status of arrival-"

"Ne sprashivayte! (Don't ask!)" I cut him off because I know he will immediately rub it on my face like a big deal. "Why are you even here anyway because am sure you never came to great your little sister," I pouted the last part and he cuckled leaning on his table. "I came for the annual ball that we were invited."

"We" I montioned between us and he nodded blowing the smoke away, "from when are you even interested with this things?" I asked him finishing my water and stood up, crossing my hands on my chest. "Its an important function that means most of the mob bosses will be there including the Costellos, Luis to be exact." And Quinn.

I sighed rubbing my temples as I shook my head, I can't go there. I can't face him again especially with his fianceè, it will just break my heart, which am left with. "Am not going for that shit, you go and take care of it yourself." He narrowed his eyes for him because he never takes a no but I can't just go there and look all misarable.

"Let me guess, is it because of Quinn Linch?" He asked and I just kept quiet, "well then I guess its because of him. Katerlina, he continued with his life and so do you. His the American mob boss so he has to be there whether you like it or not and am not taking a no for an answer." He hissed at me making me to clench my fist tightly as I threw daggers at him.

"Am over Quinn, he has nothing to with this." I growled making him to take two dangerous strides to me before he towed over me, "then what is the problem, if its not because of him?"

"You don't need me in this. You can just form an alliance with him without including me or what? Am I your lucky charm or something?" I crossed the room away from him feeling as if I will suffocate from the intense gaze he was giving me. He likes bossing people and am not just one of his disciples who will obey him blindly.

"Because its time for everyone to know your alive. Its time to show your enemies that we are in control." I looked at him as if his going crazy but his features are all serious, "its time to make all these romours about you come to an end." I pinched the bridge of my nose tfying to calm myself down. To say the truth am not really ready to face the world but I would really like to see the face of Eros when he knows he never killed me.

"Boss, we have something that you might want take care off." Michael butts in our conversation which he immediately regrets from the deadly eyes we gave him. That's one of the common things we have Roman, the fury that runs widly in our body when we are angry. With Zayn he had the calm demonoar that you felt pulled to but with Roman you become the monster you never thought you had in you.

"Okey" he waves him off and faced me again, "you're coming with me tomorrow, night and that's final." He growled slowly before turning on his heels heading to the basement. I took deep breathes trying to calm myself and threw the glass to the ground. At least that helped. I removed my jacket then straighten my skirt before I followed him.

My shoes clicked as I walked down the polished marble steps. A few men stood at the bottom of the steps as they waited for me. Even if I agrued with Roman I like seeing which dumbass is going to be killed next for their mistakes. The stench of metallic smell and odour immediately invites me as I step in the basement and Daniella, one the guards and also the closest one have liked since I stayed with Roman, smirked a little as she saw me.

She slightly bows her head as she greets me, "priyatno videť vas snova, miss. (Its nice to see you again,miss)" I nodded my head in response already seeing Roman settled on a metal chair digging daggers to the bloody man.

I leaned to the wall, next to Daniella as I watched eagerly as the scene unfolded before me. "Do you have a joint?" I asked Daniella who nodded digging into her jacket pocket removing it for me with a lighter. That's why I like her, she's always prepared.

"So Trevor, I'm giving you one last chance to confess." Roman said lighting another cigar and smirked at the beaten up man. This man is beaten up badly, I feel like just gagging from the sight of him. His grey hair was tinged red with blood and foul smelling feet were bare. "Where are his shoes?" I asked Daniella, unable to hide my amusement and she smirked answering, "he must have lost them when we grabbed him."

I chuckled as I ran my hand through my hair, pushing away some strands that are on my face. I looked at the man who remained silent while Roman just blew the smoke to his face. Is he going to confess or what? Because I know Roman's patience is very thin. We stayed in silence for five minutes, the man not even uttering a word. "Alright you fucking rat. I know who you're, Aiden Ronov. A corrupt D.E.A. You think you can just waltz in here and be a snitch. You have another thing coming."

He had to be anything else but a fucking pig. A fucking D.E.A, what a man! Those pigs have been chasing after my father for a while now but they never found anything on him.

This seemed to have awakened Aiden as he began to stir and pull at his bounds. I pushed myself off the wall and walked slowly to his direction. He chuckled a little before coughing as he watched me with his swollen eyes. "If it isn't the sleeping beauty. Katerlina Vokan or is it Kater Mendes or Alexandria? I must say your more beautiful than the magazines that showed that you were dead"

Hmmm his done his homework on me so well. He cocked his head a little trying to smirk through his bloody mouth and I tap my blunt removing the white ashes. I leaned a little watching his bloody face twist in amusement, "do you mind?" I asked him and he looked at me confused as I put my blunt to his cheek. He grunted as he held in a scream as I twisted the butt of the blunt into his flesh.

"That's going to leave a mark." He spat immediately to my top, his spit red from his blood. Am definetly going to burn this top after this. Without a second thought I smashed my fisted hands on his face removing that idiotic smirk from his face as I snapped his nose.

His head snapped to the side as he twisted his jaw and looked at me with anger, "yebat vy, sùka! (Fuck you, bitch!)" I smirked as Michael handed me a towel to wipe myself before I heard a girl scream being forced to walk. She whimpered as the guard brought her in, a gun held to her head.

Aiden's eyes shot up as he stopped struggling. The girl started crying as she looked at him trying to get out from the man's grip. I guess she's his daughter from their age difference but she could also be his mistress. You never know with these silly girls. Your grandpa can even be your lover. "Alright, alright fine! I'll tell you everything I know. But please, don't touch her."

How pathetic! You can pratically see how his eyes are welling up with tears. Daughter it is. Roman chuckled as he stood up, "I did give you one chance. I don't give second chances. Now she will face the consequences." He walked over to the girl, "and if I want to touch her, I will." I looked at Aiden who was shaking uncontrollably as he dug holes at Roman's head.

I went to seat at the previous chair Roman was as Aiden began to talk nonsense, anyone can notice what his saying is not true. I saw Roman rub his eyes irritated as he snapped at him, "alright, shut the hell up!" I chuckled amazed by the scene as the girl eyed me pleading me to help. Oh how I wish I could but my voice won't be heard if I say anything to Roman, his furious. Its been long since I saw him this angry.

The girl looked innocent and was barely 18. Her long brown hair was a mess and her blue dress was torn in places. "I do apologise for the roughness of my men and for what I'm about to do to you." Roman said as I saw the fear that her eyes bore. "See this is what you get Aiden. I don't give a fuck about what you said" he nodded towards the guard who promptly released the girl and took his gun from his pocket and shot her.

I pinched my eyes closed trying to shake out the terrible feeling I feel inside. He shot her perfectly, an instance kill. A mercy for her life. She wasn't at fault but she paid for it. When will all this blood shed ever end. Aiden screamed loudly as he started sobbing and I just looked at the dead girl. At least she won't live a harder life than this.

"Now Aiden, I want to offer you a deal," Roman said calmly as he replaced the gun to its original place and tapped his cigar letting the ashes fall as stood before him. He pressed the butt of the cigar to the man's hand making him to muffle a scream before he threw it to the ground. Never gets old.

"Work for me. I want an intel on what the D.E.A has on me." I looked at him as if his loosing his mind. How can he think this man will just obey him after killing his daughter. Aiden held back his sobs, "No fucking way I'll do that, ever!"

"I anticipated that reaction. Maybe this will change your mind." Michael showed the a picture and he snapped his head to Roman his eyes pleading. I snatched it from him and saw a photo of a lady at a bar. "Now I won't ask again. Work for me or your sister will face the same fate as your daughter." I glanced down at the poor girl, a pool of blood flowing from her body. Aiden gulp nervously, still sobbing and Roman scowls leaning closer.

"Tell me, where is my father being held?" I almost fell down from the chair from the question Roman asked Aiden. Does he mean my father has been captured by these pigs all this while? Why didn't he tell me? Aiden looked a little shocked before he hanged his head again as he answered, "I don't know much but he will be tranfered from California to Mexico soon, maybe in two weeks am not sure."

Oh shit, now am we're going to meddle with the high cops. I don't like this one bit. "Why? Why now?" Roman asked furiously, "they haven't still found anything to incriminate him so they are taking him to be investigasted thoroughly, the CIA also want him." Fuck! This is bad. The CIA are also fuckers, they do anything to make you talk even to a old grandpa.

That's why Roman was so angry, he even went to extense of killing a poor girl. "Is that all?" He asked him and he nodded hurredly. I got up from the chair wanting some fresh air as Roman barked to him some orders. I made my way outside to a small garden and stared at the bright moon.

I hear heavy footsteps and I sigh still looking up. "When were you going to tell me?" I ask him without looking at him as he finally stood beside me, "soon." I faced him feeling a little betrayed, his the only person have trusted during these three years and I find out he was hiding such a big thing from me its just painful.

"What happened after the car accident in Atlanta?" He looked at me sadly before he started to explain, "when you were taken I managed to get out from the car and enough time to remove dad from the car. It was tricky but I managed to remove him before it blew up. Someone helped us when he found us at the deserted forest but dad didn't recover quickly. When I went out after my recovery to find us a way to go back to Russia because nobody knew we came to get you, I found the man that helped us was already gone and dad was taken away and from his weak status, he couldn't manage to save himself."

"I thought it was Eros who took him but later on I found out its the cops who took him and they immediately handed him over to the D.E.A. It was too late before I rescued him, I couldn't find out where he was being held."

Even if it hurts, I know it hurts him more because he was the closest to my father. I lean my head to his shoulder has he wrapped his hand on mine. "What are we going to do?" I asked a little afraid and he sighes tightening his hold, "we're going to get him. I promise you." I closed my eyes feeling exhausted from this night and sad.